The financially troubled San Francisco Unified School District will come asking voters for a bond measure that’s in the neighborhood of nearly a billion dollars in November, the most expensive bond measure ever in SF.  

If you’ve been paying any attention to the San Francisco Unified School District lately, you’re aware the district is in terrible shape financially. State monitors just stepped in and took partial control of the district’s spending, amidst a gigantic deficit and concerns that the district could literally go broke within the next few years. Enrollment is declining significantly, and there will almost certainly be school closures announced later this year. Also, the district’s notorious payroll fiasco had teachers going months without getting paid, while the district was throwing millions of dollars toward consultants and software vendors.  

So there are obviously some fiscal management issues here. Yet despite the awful optics, the Chronicle reports that the SF Board of Education is expected to ask voters to approve a $790 million bond measure in the November 5 election. And as KGO points out, “it is the costliest bond ever to be voted on in the city.”  

• Unrelated to this page: crystal structures:
********
Below is BaCa2GaCo after structural relaxation, with properties calculated at the PBE-GGA level.

abc: 5.412 5.412 4.893
angles: 90.00 90.00 90.00
Space group P4/mmm (No. 123)
One atom of each set of equivalent atoms:
1 Ba 0.000 0.000 0.000 x1
2 Ca 0.000 0.500 0.500 x2
3 Ga 0.500 0.500 0.000 x1
4 Co 0.500 0.500 0.500 x1

Calculated values
ΔE_f = -0.029 eV/atom
Theoretical density = 4.01 g cm⁻³

=====

Below is Ba2CaCoH6 after structural relaxation, with properties calculated at the PBE-GGA level.

abc: 5.6789 5.6789 5.8929
angles: 90.00 90.00 120.00
Space group P-3m1 (No. 164)
One atom of each set of equivalent atoms:
1 Ba 0.3333 0.6667 0.1548 x2
2 Ca 0.0000 0.0000 0.5000 x1
3 Co 0.0000 0.0000 0.0000 x1
4 H 0.1332 0.2665 0.8372 x6

Calculated values
Theoretical density = 3.83 g cm⁻³
Uncorrected energy = -36.74 eV per cell

=====

Below is BaCaCoH2 after structural relaxation, with properties calculated at the PBE-GGA level.

abc: 4.417 4.417 5.348
angles: 90.00 90.00 90.00
Space group P4/mmm (No. 123)
One atom of each set of equivalent atoms:
1 Ba 0.000 0.000 0.000 x1
2 Ca 0.500 0.500 0.500 x1
3 Co 0.500 0.500 0.000 x1
4 H 0.000 0.500 0.500 x2

Calculated values
Theoretical density = 3.79 g cm⁻³
Uncorrected energy = -16.70 eV per cell

=====

Q: The lowest theoretical density belongs to which entry?
A: BaCaCoH2

=====

Q: theoretical density of number 2 (Ba2CaCoH6)?
A: 3.83 g cm⁻³

=====

Q: Among the records above, which one has the lowest theoretical density?
A: BaCaCoH2

=====

Q: The lowest theoretical density belongs to which entry?
A: BaCaCoH2


This record from Alexandria via LeMat-Bulk describes crystalline Ce3PmTm2Se6 at its relaxed geometry. The functional is PBE-GGA.

a = 7.1280 Å, b = 12.3557 Å, c = 7.2463 Å
α = 90.00°, β = 109.17°, γ = 90.00°
Space group C2/m (No. 12)
Inequivalent atoms, fractional coordinates:
Ce 0.0000 0.0000 0.0000
Ce 0.0000 0.3382 0.0000
Pm 0.0000 0.5000 0.5000
Tm 0.0000 0.1674 0.5000
Se 0.2345 0.0000 0.7343
Se 0.2485 0.1716 0.2606


This record from Alexandria via LeMat-Bulk describes crystalline In2TcSbP at its relaxed geometry. The functional is PBE-GGA.

a = 5.2190 Å, b = 5.2190 Å, c = 4.4571 Å
α = 90.00°, β = 90.00°, γ = 90.00°
Space group P4/mmm (No. 123)
Inequivalent atoms, fractional coordinates:
In 0.0000 0.5000 0.0000
Tc 0.0000 0.0000 0.5000
Sb 0.5000 0.5000 0.5000
P 0.0000 0.0000 0.0000


Number 1: raw formation energy -1.782 eV/atom. Number 2: raw formation energy 0.552 eV/atom.
********
• The page goes on:

The Chronicle got a look at the measure that the board is expected to approve at their Tuesday night meeting. It would provide funds to modernize a still-undetermined large SF high school, as well as seven other yet-to-be-determined schools. KPIX notes the tab on those construction projects would be $410 million, and schools district-wide would be in line for roofing and window upgrades, and heating and ventilation improvements. The Chronicle adds the bond would also finance “​​a $225 million central food hub, where fresh meals would be assembled.”

Wait, a $225 million central food hub? Yes, as the district explained earlier this month, “As SFUSD is the largest provider of food security for children in San Francisco, the 2024 bond will also construct a Food Hub for Student Nutrition Services to improve access, source fresher products locally, and offer a wider range of healthy meals for all students.”

The bond measure would need 55% to pass, but it is not expected to raise anyone’s taxes.

Still, while the district has successfully passed four bond measures in roughly the last 20 years, they haven’t been so successful at spending the money on what it was originally intended for. KGO reminds us that in the 1990s under former superintendent Bill Rojas, there was a “history of improper spending practices.” And funds from the latest bond measure passed in 2016 were used to pay attorneys and legal fees over that Washington High School mural lawsuit and controversy, which is absolutely outside the scope of what school bond money should be used for.

So this may be an uphill slog for the SF Unified School District, which has not been acquitting itself particularly well over the last year. And on top of all that red ink and questionable management, KGO adds that the district “has already announced that another bond measure will be placed on the ballot in 2028.”

Related: State Monitors Take Partial Oversight of SFUSD Finances, as District Runs Risk of Going Broke [SFist]

Image: Google Street View